
Audio Firm Looks to Russia for Expansion : Music: Local maker of cassette duplicating equipment is tapping into emerging market. But problems, including piracy, stand in the way.


Jim Williams has sold high-speed audiocassette duplicating machines to record companies around the world, from China to Canada.


In the process, the president of Gauss / Electro Sound has helped build the Sun Valley-based company into one of the world’s leading players in a very specialized and crucial part of the music business. His machines, which cost up to $125,000, are used to mass-produce copies of music cassettes, and they can turn out an entire cassette in as little as seven seconds.

These days, Williams, like many other U. S. businessmen, is eyeing the newly liberated Russian market for expansion. He believes Russia, where new music companies are springing up almost every week, is a bonanza waiting to happen.


“It’s a big potential market for us,” he said, pointing out that about 270 million music cassettes were sold there in 1994.

But like other Western businessmen, Williams still faces plenty of headaches in Russia. Setting up a meeting with a potential customer, for example, can take weeks of “cold calling” and the shadow of organized crime hangs over the music business. Most serious of all is the problem of piracy in a market virtually unchecked by regulatory controls.

What comes next are data records, not part of the article =
<<<
This record from Materials Project describes crystalline GaMo3S6 at its relaxed geometry. The functional is GGA-PBE.

abc: 7.0195 21.0370 9.9234
angles: 90.00 90.00 90.00
Space group Imm2 (No. 44)
One atom of each set of equivalent atoms:
Ga 0.0000 0.0000 0.0000 (multiplicity 2)
Ga 0.0000 0.1671 0.2521 (multiplicity 4)
Ga 0.0000 0.5000 0.2502 (multiplicity 2)
Mo 0.0000 0.1000 0.6451 (multiplicity 4)
Mo 0.0000 0.2340 0.6509 (multiplicity 4)
Mo 0.0000 0.4291 0.6520 (multiplicity 4)
Mo 0.2008 0.5000 0.8588 (multiplicity 4)
Mo 0.2069 0.1690 0.8517 (multiplicity 8)
S 0.0000 0.0761 0.3871 (multiplicity 4)
S 0.0000 0.0852 0.8742 (multiplicity 4)
S 0.0000 0.2560 0.8840 (multiplicity 4)
S 0.0000 0.2565 0.3879 (multiplicity 4)
S 0.0000 0.4090 0.3873 (multiplicity 4)
S 0.0000 0.4108 0.8871 (multiplicity 4)
S 0.2282 0.0000 0.6154 (multiplicity 4)
S 0.2283 0.3326 0.6159 (multiplicity 8)
S 0.2337 0.3328 0.1178 (multiplicity 8)
S 0.2479 0.5000 0.6297 (multiplicity 4)

Summary:
Energy of formation from the pure elements = -1.022 eV per atom
Total DFT energy (no corrections) = -6.758 eV/atom
M_tot = 0.00 μB per formula unit

~~~~~

The following is a DFT calculation (PBE) of a geometry-optimized BaNa2Al4Si4O16 structure.

## Properties
- energy relative to the elements (eV/f.u.) = -89.08
- energy above the lowest structure with this stoichiometry (kcal/mol of atoms) = 0.00

a b c (Å): 10.7750 10.7750 10.7750
angles (deg): 132.45 124.22 76.27
With the nearest neighbours (Å) after each atom.
Positions (direct):
Ba: 0.0000 0.0000 0.0000  10 O 2.77-3.06
Ba: 0.5000 0.5000 0.0000  10 O 2.77-3.06
Na: 0.0762 0.2088 0.7866  4 O 2.39-2.59
Na: 0.4222 0.2895 0.2134  4 O 2.39-2.59
Na: 0.5762 0.7895 0.8674  4 O 2.39-2.59
Na: 0.9222 0.7088 0.1326  4 O 2.39-2.59
Al: 0.2770 0.5202 0.6154  4 O 1.75-1.78
Al: 0.2864 0.6218 0.2222  4 O 1.74-1.78
Al: 0.3996 0.0642 0.7778  4 O 1.74-1.78
Al: 0.4048 0.0202 0.2432  4 O 1.75-1.78
Al: 0.7770 0.1616 0.7568  4 O 1.75-1.78
Al: 0.7864 0.5642 0.6646  4 O 1.74-1.78
Al: 0.8996 0.1218 0.3354  4 O 1.74-1.78
Al: 0.9048 0.6616 0.3846  4 O 1.75-1.78
Si: 0.0956 0.4232 0.2055  4 O 1.62-1.65
Si: 0.1013 0.4846 0.7701  4 O 1.63-1.65
Si: 0.2146 0.9846 0.3834  4 O 1.63-1.65
Si: 0.2177 0.8901 0.7945  4 O 1.62-1.65
Si: 0.5956 0.3901 0.6724  4 O 1.62-1.65
Si: 0.6013 0.8312 0.6166  4 O 1.63-1.65
Si: 0.7146 0.3312 0.2299  4 O 1.63-1.65
Si: 0.7177 0.9232 0.3276  4 O 1.62-1.65
O: 0.0119 0.5835 0.2774  1 Si 1.62, 1 Al 1.76
O: 0.0294 0.8206 0.6524  1 Si 1.64, 1 Al 1.77
O: 0.0373 0.0104 0.2838  1 Si 1.65, 1 Al 1.77
O: 0.1682 0.3770 0.3476  1 Si 1.64, 1 Al 1.77
O: 0.1928 0.7904 0.2984  1 Si 1.64, 1 Al 1.74
O: 0.2047 0.4993 0.7121  1 Si 1.63, 1 Al 1.75
O: 0.2266 0.5104 0.9730  1 Si 1.65, 1 Al 1.77
O: 0.2304 0.4608 0.1984  1 Si 1.65, 1 Al 1.78
O: 0.2625 0.0320 0.8016  1 Si 1.65, 1 Al 1.78
O: 0.2739 0.9980 0.0279  1 Si 1.65, 1 Al 1.78
O: 0.2873 0.9993 0.2946  1 Si 1.63, 1 Al 1.75
O: 0.3061 0.7345 0.7226  1 Si 1.62, 1 Al 1.76
O: 0.3174 0.1232 0.6330  1 Si 1.64, 1 Al 1.77
>>>

“The biggest fear in this industry is piracy,” said Williams. In Russia, “it’s just running rampant.”


According to some estimates, 70% to 80% of the recordings sold in Russia are bootleg copies. Although Boris Yeltsin’s government has passed various laws to protect intellectual properties, enforcement of these laws is still spotty.


Williams says most Russian audio-pirates use nothing more sophisticated than a cassette deck with a high-speed dubbing function--technological light-years away, in fact, from whatElectro Sound makes.

Gauss / Electro Sound is owned by Mark IV Industries Inc., a $1.7-billion conglomerate in Amherst, N.Y., whose main business is automotive and industrial products marketed under the brand names Dayco and Purolator. But Mark IV also has a sizable audio group. Bob Pabst, president of the audio group, says that Gauss / Electro Sound contributed less than 5% of the group’s 1995 $185 million in sales.


Mark IV acquired Gauss in 1987 and Electro Sound three years later. While Electro Sound covers the middle end of the duplication market, starting around $26,000 for a system, its sister company caters to the high end--music companies willing to pay top dollar for equipment that can manufacture hundreds of cassettes per shift without sacrificing sound fidelity.

In a typical duplication system, a digital master recording is stored in a “loop bin,” which can include up to one gigabyte of computer memory. The bin converts the data to analog format and transmits it to a blank tape on a high-speed, reel-to-reel recorder called a “slave.” Several slaves can be connected to a single bin.

According to Williams, Gauss / Electro Sound’s share of the world market is more than 50% and it counts such major record companies as PolyGram, EMI and Sony among its customers. About 85% of sales are exports and it is in emerging overseas markets like Russia that the company is looking for growth. “The niche we’re in is very specialized,” Williams explained. “We have to view it as a global market.”

Since the fall of Communism, several Western music companies have established operations in Eastern Europe. “At least with respect to Europe, only Eastern Europe has any significant potential for growth,” said Bob Farrow, president of Concept Design, a professional audio-equipment supplier in Graham, N.C. “Western Europe is saturated.” But Russia remains relatively untapped.


Since the former Soviet Union opened up the economy, Williams has sold equipment to three of the leading music-duplicating companies in Russia. The contrast between business conditions now and before “perestroika,” he says, are like “night and day.”

That market is particularly attractive because it offers a vast potential music audience crying out for new material. Some 90% of cassettes produced in Russia feature only local music, said Williams, who has a drawer full of such recordings in his office.


In addition, much of the existing duplication equipment for music companies in Russia is out of date, a relic of the Soviet days when the recording industry was monopolized by the government.


Williams, who is an engineer by training, first went prospecting in Russia in the early 1980s when it was part of the Soviet Union. The results were not encouraging. “With the political situation, the doors were pretty much closed tS. companies,” he recalled. “We tried our darndest to get through, but they would barely answer the knock at the door.” Even six years ago, “everything was still stymied. No one could make any decisions, you couldn’t meet anyone.”

But when Williams returned to Russia in 1993, he said, he was picked up at the Moscow airport by “two brash, entrepreneurial young men” driving a fairly new Mercedes and using cellular phones. His hosts--managers of a new firm called ZeKo--lodged him in an upscale hotel and showed him around town. Compared with the Soviet era, “it’s a night-and-day difference in the ability of people to do business there,” Williams said.

ZeKo became Williams’ first Russian customer, purchasing high-end Gauss systems. Since then, he has made deals with two other Moscow firms, Soyuz Duplicating and Elorg Corp. He estimates that about 135 record companies and tape duplicators are now operating in Russia.

But there are still major obstacles to doing business in Russia. A typical sales trip for Williams involves a lot of cold calling and struggling with translation problems. “Just trying to get through to the owner or president of the company is the difficult part,” he said. “I’ve sat around in the hotel for hours on end, thinking, ‘When in the world am I going to get something going here?’ ” On a two-week trip, most of the actual business discussions get compressed into the final two or three days.

Another concern is Russian organized crime. Protection rackets have become a lucrative source of income for gangsters and some of Williams’ potential customers are apparent victims. “I have first-hand stories of companies there who have to deal with it,” he said. “They admit they’ve dealt with it, but they really don’t want you to know what they’ve done.”



Most vexingly, there is the piracy problem.

Piracy is not only a headache for would-be Russian music moguls but also for major Western record companies that might be considering mass-marketing their products in Russia, by setting up licensing operations there. The less secure Western firms feel, the less likely they will invest in expensive duplication equipment for the Russian market. “If Western music companies don’t feel safe, that they can go in there and allow product to be manufactured and distributed, they just won’t do it,” Williams said.

Manfred Bormann, a licensing executive at Warner Music Group in New York, said the company had been looking into the Russian market and had received inquiries from Russian firms interested in licensing Warner products. But he added, “Certainly, one of the major obstacles is we’re finding there’s not enough copyright protection.”


Williams does see some signs of progress. For example, he noted, legitimate companies in Russia have formed their own trade group to combat piracy. “It’s got to be done from within. They’ve got to protect their own interests.”

Given the headaches, some might wonder why anyone would even bother to make such an effort. But for Williams, it’s all part of doing business. “You have to be willing to work around these obstacles,” he said. “If you merely took the path of least resistance all the time, you’re limiting your growth and your ability to market your products.”
